Entries:
........
No. 1
Computed, not measured: a geometry-optimized Ho12Co5Bi structure at the PBE level of DFT.

a b c (Å): 8.2699 8.2699 8.2699
angles (deg): 110.82 110.80 106.83
Positions (direct):
Ho: 0.8176 0.7149 0.5325
Ho: 0.1824 0.2851 0.4675
Ho: 0.1824 0.7149 0.8973
Ho: 0.8176 0.2851 0.1027
Ho: 0.6882 0.3805 0.6923
Ho: 0.3118 0.6195 0.3077
Ho: 0.6882 0.9960 0.3077
Ho: 0.3118 0.0040 0.6923
Ho: 0.5934 0.7895 0.8039
Ho: 0.4066 0.2105 0.1961
Ho: 0.9856 0.7895 0.1961
Ho: 0.0144 0.2105 0.8039
Co: 0.6248 0.0000 0.6248
Co: 0.3752 0.0000 0.3752
Co: 0.1121 0.6121 0.5000
Co: 0.8879 0.3879 0.5000
Co: 0.0000 0.0000 0.0000
Bi: 0.5000 0.5000 0.0000

Values from the calculation:
Density in Mg/m³: 9.48
Space group: Immm
Formation energy in kJ/mol of atoms: -28.17
VASP energy in eV per formula unit: -99.677

***

No. 2
Computed, not measured: a geometry-optimized Ho5CoBi2 structure at the PBE level of DFT.

a b c (Å): 7.9407 8.8476 12.3218
angles (deg): 90.00 90.00 90.00
Positions (direct):
Ho: 0.3451 0.7500 0.6999
Ho: 0.6549 0.2500 0.3001
Ho: 0.8451 0.2500 0.8001
Ho: 0.1549 0.7500 0.1999
Ho: 0.8856 0.7500 0.8108
Ho: 0.1144 0.2500 0.1892
Ho: 0.3856 0.2500 0.6892
Ho: 0.6144 0.7500 0.3108
Ho: 0.6756 0.5384 0.5629
Ho: 0.3244 0.4616 0.4371
Ho: 0.1756 0.4616 0.9371
Ho: 0.3244 0.0384 0.4371
Ho: 0.8244 0.5384 0.0629
Ho: 0.6756 0.9616 0.5629
Ho: 0.8244 0.9616 0.0629
Ho: 0.1756 0.0384 0.9371
Ho: 0.0535 0.7500 0.4981
Ho: 0.9465 0.2500 0.5019
Ho: 0.5535 0.2500 0.0019
Ho: 0.4465 0.7500 0.9981
Co: 0.0679 0.7500 0.9915
Co: 0.9321 0.2500 0.0085
Co: 0.5679 0.2500 0.5085
Co: 0.4321 0.7500 0.4915
Bi: 0.5714 0.5104 0.8263
Bi: 0.4286 0.4896 0.1737
Bi: 0.0714 0.4896 0.6737
Bi: 0.4286 0.0104 0.1737
Bi: 0.9286 0.5104 0.3263
Bi: 0.5714 0.9896 0.8263
Bi: 0.9286 0.9896 0.3263
Bi: 0.0714 0.0104 0.6737

Values from the calculation:
Density in Mg/m³: 9.99
Space group: Pnma
Formation energy in kJ/mol of atoms: -52.74
VASP energy in eV per formula unit: -42.173

***

No. 3
Computed, not measured: a geometry-optimized La6Co13Bi structure at the PBE level of DFT.

a b c (Å): 12.9734 12.9734 12.9734
angles (deg): 143.57 143.57 52.46
Positions (direct):
La: 0.5993 0.5993 0.0000
La: 0.0993 0.0993 0.0000
La: 0.4007 0.4007 0.0000
La: 0.9007 0.9007 0.0000
La: 0.4808 0.9808 0.8192
La: 0.1617 0.6617 0.1808
La: 0.9808 0.1617 0.5000
La: 0.6617 0.4808 0.5000
La: 0.5192 0.0192 0.1808
La: 0.8383 0.3383 0.8192
La: 0.0192 0.8383 0.5000
La: 0.3383 0.5192 0.5000
Co: 0.5000 0.0000 0.5000
Co: 0.0000 0.5000 0.5000
Co: 0.5652 0.7131 0.2784
Co: 0.4348 0.2869 0.7216
Co: 0.0652 0.7869 0.8521
Co: 0.9348 0.2131 0.1479
Co: 0.2869 0.5652 0.8521
Co: 0.7131 0.4348 0.1479
Co: 0.2131 0.0652 0.2784
Co: 0.7869 0.9348 0.7216
Co: 0.6210 0.1210 0.8533
Co: 0.2676 0.7676 0.1467
Co: 0.1210 0.2676 0.5000
Co: 0.7676 0.6210 0.5000
Co: 0.3790 0.8790 0.1467
Co: 0.7324 0.2324 0.8533
Co: 0.8790 0.7324 0.5000
Co: 0.2324 0.3790 0.5000
Co: 0.7977 0.2977 0.2714
Co: 0.0263 0.5263 0.7286
Co: 0.2977 0.0263 0.5000
Co: 0.5263 0.7977 0.5000
Co: 0.2023 0.7023 0.7286
Co: 0.9737 0.4737 0.2714
Co: 0.7023 0.9737 0.5000
Co: 0.4737 0.2023 0.5000
Bi: 0.2500 0.2500 0.0000
Bi: 0.7500 0.7500 0.0000

Values from the calculation:
Density in Mg/m³: 7.85
Space group: I4/mcm
Formation energy in kJ/mol of atoms: -16.86
VASP energy in eV per formula unit: -129.409

***

No. 4
Computed, not measured: a geometry-optimized Mg14CoBi structure at the PBE level of DFT.

a b c (Å): 6.2755 6.3058 10.1576
angles (deg): 90.00 90.00 120.16
Positions (direct):
Mg: 0.1663 0.3332 0.6250
Mg: 0.1692 0.8346 0.6250
Mg: 0.6693 0.3358 0.1250
Mg: 0.6662 0.3304 0.6250
Mg: 0.6693 0.8334 0.1250
Mg: 0.6662 0.8358 0.6250
Mg: 0.3301 0.1761 0.3670
Mg: 0.3301 0.1761 0.8830
Mg: 0.3301 0.6540 0.3670
Mg: 0.3301 0.6540 0.8830
Mg: 0.8448 0.1724 0.3644
Mg: 0.8448 0.1724 0.8856
Mg: 0.8296 0.6648 0.3823
Mg: 0.8296 0.6648 0.8677
Co: 0.1646 0.3323 0.1250
Bi: 0.1596 0.8298 0.1250

Values from the calculation:
Density in Mg/m³: 2.91
Space group: Amm2
Formation energy in kJ/mol of atoms: 5.02
........

Brief:
Next, copy the whole of the material above with every line break kept.

Here it is:
No. 1
Computed, not measured: a geometry-optimized Ho12Co5Bi structure at the PBE level of DFT.

a b c (Å): 8.2699 8.2699 8.2699
angles (deg): 110.82 110.80 106.83
Positions (direct):
Ho: 0.8176 0.7149 0.5325
Ho: 0.1824 0.2851 0.4675
Ho: 0.1824 0.7149 0.8973
Ho: 0.8176 0.2851 0.1027
Ho: 0.6882 0.3805 0.6923
Ho: 0.3118 0.6195 0.3077
Ho: 0.6882 0.9960 0.3077
Ho: 0.3118 0.0040 0.6923
Ho: 0.5934 0.7895 0.8039
Ho: 0.4066 0.2105 0.1961
Ho: 0.9856 0.7895 0.1961
Ho: 0.0144 0.2105 0.8039
Co: 0.6248 0.0000 0.6248
Co: 0.3752 0.0000 0.3752
Co: 0.1121 0.6121 0.5000
Co: 0.8879 0.3879 0.5000
Co: 0.0000 0.0000 0.0000
Bi: 0.5000 0.5000 0.0000

Values from the calculation:
Density in Mg/m³: 9.48
Space group: Immm
Formation energy in kJ/mol of atoms: -28.17
VASP energy in eV per formula unit: -99.677

***

No. 2
Computed, not measured: a geometry-optimized Ho5CoBi2 structure at the PBE level of DFT.

a b c (Å): 7.9407 8.8476 12.3218
angles (deg): 90.00 90.00 90.00
Positions (direct):
Ho: 0.3451 0.7500 0.6999
Ho: 0.6549 0.2500 0.3001
Ho: 0.8451 0.2500 0.8001
Ho: 0.1549 0.7500 0.1999
Ho: 0.8856 0.7500 0.8108
Ho: 0.1144 0.2500 0.1892
Ho: 0.3856 0.2500 0.6892
Ho: 0.6144 0.7500 0.3108
Ho: 0.6756 0.5384 0.5629
Ho: 0.3244 0.4616 0.4371
Ho: 0.1756 0.4616 0.9371
Ho: 0.3244 0.0384 0.4371
Ho: 0.8244 0.5384 0.0629
Ho: 0.6756 0.9616 0.5629
Ho: 0.8244 0.9616 0.0629
Ho: 0.1756 0.0384 0.9371
Ho: 0.0535 0.7500 0.4981
Ho: 0.9465 0.2500 0.5019
Ho: 0.5535 0.2500 0.0019
Ho: 0.4465 0.7500 0.9981
Co: 0.0679 0.7500 0.9915
Co: 0.9321 0.2500 0.0085
Co: 0.5679 0.2500 0.5085
Co: 0.4321 0.7500 0.4915
Bi: 0.5714 0.5104 0.8263
Bi: 0.4286 0.4896 0.1737
Bi: 0.0714 0.4896 0.6737
Bi: 0.4286 0.0104 0.1737
Bi: 0.9286 0.5104 0.3263
Bi: 0.5714 0.9896 0.8263
Bi: 0.9286 0.9896 0.3263
Bi: 0.0714 0.0104 0.6737

Values from the calculation:
Density in Mg/m³: 9.99
Space group: Pnma
Formation energy in kJ/mol of atoms: -52.74
VASP energy in eV per formula unit: -42.173

***

No. 3
Computed, not measured: a geometry-optimized La6Co13Bi structure at the PBE level of DFT.

a b c (Å): 12.9734 12.9734 12.9734
angles (deg): 143.57 143.57 52.46
Positions (direct):
La: 0.5993 0.5993 0.0000
La: 0.0993 0.0993 0.0000
La: 0.4007 0.4007 0.0000
La: 0.9007 0.9007 0.0000
La: 0.4808 0.9808 0.8192
La: 0.1617 0.6617 0.1808
La: 0.9808 0.1617 0.5000
La: 0.6617 0.4808 0.5000
La: 0.5192 0.0192 0.1808
La: 0.8383 0.3383 0.8192
La: 0.0192 0.8383 0.5000
La: 0.3383 0.5192 0.5000
Co: 0.5000 0.0000 0.5000
Co: 0.0000 0.5000 0.5000
Co: 0.5652 0.7131 0.2784
Co: 0.4348 0.2869 0.7216
Co: 0.0652 0.7869 0.8521
Co: 0.9348 0.2131 0.1479
Co: 0.2869 0.5652 0.8521
Co: 0.7131 0.4348 0.1479
Co: 0.2131 0.0652 0.2784
Co: 0.7869 0.9348 0.7216
Co: 0.6210 0.1210 0.8533
Co: 0.2676 0.7676 0.1467
Co: 0.1210 0.2676 0.5000
Co: 0.7676 0.6210 0.5000
Co: 0.3790 0.8790 0.1467
Co: 0.7324 0.2324 0.8533
Co: 0.8790 0.7324 0.5000
Co: 0.2324 0.3790 0.5000
Co: 0.7977 0.2977 0.2714
Co: 0.0263 0.5263 0.7286
Co: 0.2977 0.0263 0.5000
Co: 0.5263 0.7977 0.5000
Co: 0.2023 0.7023 0.7286
Co: 0.9737 0.4737 0.2714
Co: 0.7023 0.9737 0.5000
Co: 0.4737 0.2023 0.5000
Bi: 0.2500 0.2500 0.0000
Bi: 0.7500 0.7500 0.0000

Values from the calculation:
Density in Mg/m³: 7.85
Space group: I4/mcm
Formation energy in kJ/mol of atoms: -16.86
VASP energy in eV per formula unit: -129.409

***

No. 4
Computed, not measured: a geometry-optimized Mg14CoBi structure at the PBE level of DFT.

a b c (Å): 6.2755 6.3058 10.1576
angles (deg): 90.00 90.00 120.16
Positions (direct):
Mg: 0.1663 0.3332 0.6250
Mg: 0.1692 0.8346 0.6250
Mg: 0.6693 0.3358 0.1250
Mg: 0.6662 0.3304 0.6250
Mg: 0.6693 0.8334 0.1250
Mg: 0.6662 0.8358 0.6250
Mg: 0.3301 0.1761 0.3670
Mg: 0.3301 0.1761 0.8830
Mg: 0.3301 0.6540 0.3670
Mg: 0.3301 0.6540 0.8830
Mg: 0.8448 0.1724 0.3644
Mg: 0.8448 0.1724 0.8856
Mg: 0.8296 0.6648 0.3823
Mg: 0.8296 0.6648 0.8677
Co: 0.1646 0.3323 0.1250
Bi: 0.1596 0.8298 0.1250

Values from the calculation:
Density in Mg/m³: 2.91
Space group: Amm2
Formation energy in kJ/mol of atoms: 5.02